/*
10
Lattice="6.026 -3.595 0.000 6.026 3.595 0.000 -3.809 0.000 5.656" Properties=species:S:1:pos:R:3 comment="Na3FeCl6, relaxed, DFT GGA-PBE" magnetic_moment_mub_per_fu=4.99 de_polymorph_mev_per_atom=0 raw_formation_energy_mev_per_atom=-1339 energy_ev_per_fu=-36.89 volume_a3_per_atom=24.51 pbc="T T T"
Na 0.000 0.000 0.000
Na 0.359 0.000 3.980
Na 7.884 0.000 1.676
Fe 4.122 0.000 2.828
Cl 2.656 1.703 3.710
Cl 2.852 0.000 0.778
Cl 5.587 1.703 1.945
Cl 2.656 -1.703 3.710
Cl 5.392 0.000 4.877
Cl 5.587 -1.703 1.945

4
Lattice="4.316 -1.591 0.000 4.316 1.591 0.000 -0.892 0.000 5.724" Properties=species:S:1:pos:R:3 comment="SrCr2Si, relaxed, DFT GGA-PBE" magnetic_moment_mub_per_fu=0.00 raw_formation_energy_mev_per_atom=390 energy_ev_per_fu=-24.79 volume_a3_per_atom=19.65 pbc="T T T"
Sr 0.000 0.000 0.000
Cr 1.439 0.000 3.535
Cr 6.301 0.000 2.188
Si 3.870 0.000 2.862

4
Lattice="3.323 0.000 0.000 0.000 3.323 0.000 0.000 0.000 9.396" Properties=species:S:1:pos:R:3 comment="NaHg2Sb, relaxed, DFT GGA-PBE" magnetic_moment_mub_per_fu=0.00 raw_formation_energy_mev_per_atom=-105 energy_ev_per_fu=-6.47 volume_a3_per_atom=25.93 pbc="T T T"
Na 0.000 0.000 0.000
Hg 1.661 1.661 2.204
Hg 1.661 1.661 7.191
Sb 0.000 0.000 4.698
*/

Could you find the line further up that holds "1.439 0.000", then write out that line and all lines after it there?

Cr 1.439 0.000 3.535
Cr 6.301 0.000 2.188
Si 3.870 0.000 2.862

4
Lattice="3.323 0.000 0.000 0.000 3.323 0.000 0.000 0.000 9.396" Properties=species:S:1:pos:R:3 comment="NaHg2Sb, relaxed, DFT GGA-PBE" magnetic_moment_mub_per_fu=0.00 raw_formation_energy_mev_per_atom=-105 energy_ev_per_fu=-6.47 volume_a3_per_atom=25.93 pbc="T T T"
Na 0.000 0.000 0.000
Hg 1.661 1.661 2.204
Hg 1.661 1.661 7.191
Sb 0.000 0.000 4.698